Data:
+++
[1]
A plane-wave DFT calculation with PBE was carried out for a relaxed CaAgHgGe crystal.

abc: 7.048 7.048 7.048
angles: 90.00 90.00 90.00
Space group F-43m (No. 216)
Symmetry-distinct sites (fractional):
Ca (0.000, 0.000, 0.000) [4 per cell]
Ag (0.000, 0.000, 0.500) [4 per cell]
Hg (0.250, 0.250, 0.750) [4 per cell]
Ge (0.250, 0.250, 0.250) [4 per cell]

Computed properties:
- ΔH_f (0 K): -0.22 eV per atom

***

[2]
A plane-wave DFT calculation with PBE was carried out for a relaxed CaHoAgGe crystal.

abc: 7.220 7.220 7.220
angles: 90.00 90.00 90.00
Space group F-43m (No. 216)
Symmetry-distinct sites (fractional):
Ca (0.000, 0.000, 0.000) [4 per cell]
Ho (0.000, 0.000, 0.500) [4 per cell]
Ag (0.250, 0.250, 0.750) [4 per cell]
Ge (0.250, 0.250, 0.250) [4 per cell]

Computed properties:
- ΔH_f (0 K): -0.52 eV per atom

***

[3]
A plane-wave DFT calculation with PBE was carried out for a relaxed CaAg2GeI6 crystal.

abc: 14.445 13.603 7.969
angles: 90.00 100.16 90.00
Space group C2/c (No. 15)
Symmetry-distinct sites (fractional):
Ca (0.000, 0.088, 0.250) [4 per cell]
Ag (0.161, 0.409, 0.310) [8 per cell]
Ge (0.000, 0.262, 0.750) [4 per cell]
I (0.121, 0.244, 0.100) [8 per cell]
I (0.122, 0.085, 0.623) [8 per cell]
I (0.126, 0.406, 0.646) [8 per cell]

Computed properties:
- Raw formation energy: -0.652 eV per atom

***

[4]
A plane-wave DFT calculation with PBE was carried out for a relaxed CaInAgGe crystal.

abc: 7.122 7.122 7.122
angles: 90.00 90.00 90.00
Space group F-43m (No. 216)
Symmetry-distinct sites (fractional):
Ca (0.000, 0.000, 0.000) [4 per cell]
In (0.000, 0.000, 0.500) [4 per cell]
Ag (0.250, 0.250, 0.750) [4 per cell]
Ge (0.250, 0.250, 0.250) [4 per cell]

Computed properties:
- ΔH_f (0 K): -0.23 eV per atom

***

[5]
A plane-wave DFT calculation with PBE was carried out for a relaxed CaLaAgGe crystal.

abc: 7.458 7.458 7.458
angles: 90.00 90.00 90.00
Space group F-43m (No. 216)
Symmetry-distinct sites (fractional):
Ca (0.000, 0.000, 0.000) [4 per cell]
La (0.000, 0.000, 0.500) [4 per cell]
Ag (0.250, 0.250, 0.250) [4 per cell]
Ge (0.250, 0.250, 0.750) [4 per cell]

Computed properties:
- ΔH_f (0 K): -0.56 eV per atom

***

[6]
A plane-wave DFT calculation with PBE was carried out for a relaxed LiCaAgGe crystal.

abc: 7.924 4.581 5.421
angles: 90.00 119.32 90.00
Space group Cm (No. 8)
Symmetry-distinct sites (fractional):
Li (0.000, 0.000, 0.000) [2 per cell]
Ca (0.202, 0.000, 0.605) [2 per cell]
Ag (0.224, 0.500, 0.171) [2 per cell]
Ge (0.419, 0.000, 0.259) [2 per cell]

Computed properties:
- ΔH_f (0 K): -0.36 eV per atom

***

[7]
A plane-wave DFT calculation with PBE was carried out for a relaxed LiCaAgGe crystal.

abc: 6.742 6.742 6.742
angles: 90.00 90.00 90.00
Space group F-43m (No. 216)
Symmetry-distinct sites (fractional):
Li (0.000, 0.000, 0.000) [4 per cell]
Ca (0.250, 0.250, 0.750) [4 per cell]
Ag (0.000, 0.000, 0.500) [4 per cell]
Ge (0.250, 0.250, 0.250) [4 per cell]

Computed properties:
- ΔH_f (0 K): -0.35 eV per atom

***

[8]
A plane-wave DFT calculation with PBE was carried out for a relaxed Ca2NdAg2Ge2 crystal.

abc: 4.6215 4.6215 27.8261
angles: 90.00 90.00 120.00
Space group R-3m (No. 166, hexagonal axes)
Symmetry-distinct sites (fractional):
Ca (0.0000, 0.0000, 0.1275) [6 per cell]
Nd (0.0000, 0.0000, 0.0000) [3 per cell]
Ag (0.0000, 0.0000, 0.4028) [6 per cell]
Ge (0.0000, 0.0000, 0.2602) [6 per cell]

Computed properties:
- ΔH_f (0 K): -0.46 eV per atom

* * * * *

[1]
Below is a geometry-optimized BaSr2AlH structure, with properties calculated at the PBE level.

Properties
V   157 Å³ per cell
Symmetry   No. 123
Energy   -13.1 eV per cell

Cell and atoms, written as POSCAR:
```
BaSr2AlH
1.0
5.372 0.000 0.000
0.000 5.372 0.000
0.000 0.000 5.453
Ba Sr Al H
1 2 1 1
Direct
0.000 0.000 0.000
0.000 0.500 0.500
0.500 0.000 0.500
0.500 0.500 0.000
0.000 0.000 0.500
```


[2]
Below is a geometry-optimized ZnCd2P structure, with properties calculated at the PBE level.

Properties
+++

Exercise:
The reader should say how many lines of the rows above hold the word "R-3m", as a bare number.

Here it is:
1